== Activity ==
Print the lines underneath up to the one that holds "for TbSnTe3Au.", that line included, please.

== Listing ==
'''
Diffraction record for Sr2TlSn4Au3. The powder diffractogram is simulated, not measured: it uses a GGA-PBE-relaxed structure and λ = 1.5418 Å (Cu Kα).
Kinematic intensities with the Lorentz-polarization factor, no thermal factor.

Peak list (8 most intense, 2θ = 10–80°, by angle)
20.01°, I 31; 29.33°, I 38; 30.42°, I 100; 37.58°, I 75; 40.49°, I 67; 42.60°, I 27; 54.19°, I 26; 69.78°, I 28

Atomic structure:
a b c (Å): 4.7872 4.7872 11.8367
angles (deg): 90.00 90.00 90.00
Sites, in units of the cell vectors:
Sr 0.0000 0.5000 0.2483
Sr 0.5000 0.0000 0.7517
Tl 0.0000 0.0000 0.5000
Sn 0.0000 0.0000 0.0000
Sn 0.0000 0.5000 0.6425
Sn 0.5000 0.0000 0.3575
Sn 0.5000 0.5000 0.0000
Au 0.0000 0.5000 0.8690
Au 0.5000 0.0000 0.1310
Au 0.5000 0.5000 0.5000


Diffraction record for SrZn2SnAu. The powder diffractogram is simulated, not measured: it uses a GGA-PBE-relaxed structure and λ = 1.5418 Å (Cu Kα).
Kinematic intensities with the Lorentz-polarization factor, no thermal factor.

Peak list (8 most intense, 2θ = 10–80°, by angle)
21.57°, I 31; 30.31°, I 34; 32.41°, I 100; 40.62°, I 31; 41.07°, I 30; 42.08°, I 47; 43.35°, I 21; 43.46°, I 24

Atomic structure:
a b c (Å): 6.6871 6.6871 6.6871
angles (deg): 141.62 141.20 55.71
Sites, in units of the cell vectors:
Sr 0.0000 0.0000 0.0000
Zn 0.3881 0.3881 0.0000
Zn 0.7506 0.2506 0.5000
Sn 0.2510 0.7510 0.5000
Au 0.6059 0.6059 0.0000


Diffraction record for SrZnSn2Au5. The powder diffractogram is simulated, not measured: it uses a GGA-PBE-relaxed structure and λ = 1.5418 Å (Cu Kα).
Kinematic intensities with the Lorentz-polarization factor, no thermal factor.

Peak list (8 most intense, 2θ = 10–80°, by angle)
25.64°, I 96; 35.29°, I 100; 36.20°, I 74; 36.94°, I 40; 38.66°, I 72; 39.50°, I 63; 54.00°, I 55; 56.73°, I 32

Atomic structure:
a b c (Å): 8.2822 8.2822 8.2822
angles (deg): 145.13 137.16 56.37
Sites, in units of the cell vectors:
Sr 0.0000 0.0000 0.0000
Zn 0.5000 0.5000 0.0000
Sn 0.3090 0.8090 0.5000
Sn 0.6910 0.1910 0.5000
Au 0.0943 0.3550 0.7393
Au 0.3844 0.6450 0.7393
Au 0.5000 0.0000 0.5000
Au 0.6156 0.3550 0.2607
Au 0.9057 0.6450 0.2607


Diffraction record for TbSnTe3Au. The powder diffractogram is simulated, not measured: it uses a GGA-PBE-relaxed structure and λ = 1.5418 Å (Cu Kα).
Kinematic intensities with the Lorentz-polarization factor, no thermal factor.

Peak list (8 most intense, 2θ = 10–80°, by angle)
12.01°, I 58; 27.23°, I 32; 29.49°, I 39; 29.75°, I 100; 32.72°, I 32; 33.94°, I 55; 34.44°, I 38; 42.09°, I 41

Atomic structure:
a b c (Å): 8.6830 4.2940 10.1528
angles (deg): 90.00 104.63 90.00
Sites, in units of the cell vectors:
Tb 0.1858 0.2500 0.1792
Tb 0.8142 0.7500 0.8208
Sn 0.2897 0.7500 0.7342
Sn 0.7103 0.2500 0.2658
Te 0.0804 0.2500 0.8568
Te 0.2295 0.2500 0.4886
Te 0.4262 0.7500 0.1373
Te 0.5738 0.2500 0.8627
Te 0.7705 0.7500 0.5114
Te 0.9196 0.7500 0.1432
Au 0.4110 0.7500 0.4061
Au 0.5890 0.2500 0.5939


Diffraction record for TcSn3Au. The powder diffractogram is simulated, not measured: it uses a GGA-PBE-relaxed structure and λ = 1.5418 Å (Cu Kα).
Kinematic intensities with the Lorentz-polarization factor, no thermal factor.

Peak list (8 most intense, 2θ = 10–80°, by angle)
24.46°, I 35; 30.08°, I 94; 34.87°, I 100; 43.06°, I 16; 50.14°, I 72; 59.59°, I 43; 62.53°, I 25; 73.63°, I 12

Atomic structure:
a b c (Å): 5.1459 5.1459 5.1459
angles (deg): 90.00 90.00 90.00
Sites, in units of the cell vectors:
Tc 0.0000 0.0000 0.0000
Sn 0.0000 0.0000 0.5000
Sn 0.0000 0.5000 0.0000
Sn 0.5000 0.0000 0.0000
Au 0.5000 0.5000 0.5000


Diffraction record for Sn3Te4Au. The powder diffractogram is simulated, not measured: it uses a GGA-PBE-relaxed structure and λ = 1.5418 Å (Cu Kα).
Kinematic intensities with the Lorentz-polarization factor, no thermal factor.

Peak list (8 most intense, 2θ = 10–80°, by angle)
23.10°, I 12; 26.89°, I 93; 30.29°, I 34; 40.74°, I 100; 49.51°, I 20; 58.96°, I 13; 66.00°, I 16; 74.17°, I 20

Atomic structure:
a b c (Å): 4.4263 4.4263 15.6167
'''

== Here it is ==
Diffraction record for Sr2TlSn4Au3. The powder diffractogram is simulated, not measured: it uses a GGA-PBE-relaxed structure and λ = 1.5418 Å (Cu Kα).
Kinematic intensities with the Lorentz-polarization factor, no thermal factor.

Peak list (8 most intense, 2θ = 10–80°, by angle)
20.01°, I 31; 29.33°, I 38; 30.42°, I 100; 37.58°, I 75; 40.49°, I 67; 42.60°, I 27; 54.19°, I 26; 69.78°, I 28

Atomic structure:
a b c (Å): 4.7872 4.7872 11.8367
angles (deg): 90.00 90.00 90.00
Sites, in units of the cell vectors:
Sr 0.0000 0.5000 0.2483
Sr 0.5000 0.0000 0.7517
Tl 0.0000 0.0000 0.5000
Sn 0.0000 0.0000 0.0000
Sn 0.0000 0.5000 0.6425
Sn 0.5000 0.0000 0.3575
Sn 0.5000 0.5000 0.0000
Au 0.0000 0.5000 0.8690
Au 0.5000 0.0000 0.1310
Au 0.5000 0.5000 0.5000


Diffraction record for SrZn2SnAu. The powder diffractogram is simulated, not measured: it uses a GGA-PBE-relaxed structure and λ = 1.5418 Å (Cu Kα).
Kinematic intensities with the Lorentz-polarization factor, no thermal factor.

Peak list (8 most intense, 2θ = 10–80°, by angle)
21.57°, I 31; 30.31°, I 34; 32.41°, I 100; 40.62°, I 31; 41.07°, I 30; 42.08°, I 47; 43.35°, I 21; 43.46°, I 24

Atomic structure:
a b c (Å): 6.6871 6.6871 6.6871
angles (deg): 141.62 141.20 55.71
Sites, in units of the cell vectors:
Sr 0.0000 0.0000 0.0000
Zn 0.3881 0.3881 0.0000
Zn 0.7506 0.2506 0.5000
Sn 0.2510 0.7510 0.5000
Au 0.6059 0.6059 0.0000


Diffraction record for SrZnSn2Au5. The powder diffractogram is simulated, not measured: it uses a GGA-PBE-relaxed structure and λ = 1.5418 Å (Cu Kα).
Kinematic intensities with the Lorentz-polarization factor, no thermal factor.

Peak list (8 most intense, 2θ = 10–80°, by angle)
25.64°, I 96; 35.29°, I 100; 36.20°, I 74; 36.94°, I 40; 38.66°, I 72; 39.50°, I 63; 54.00°, I 55; 56.73°, I 32

Atomic structure:
a b c (Å): 8.2822 8.2822 8.2822
angles (deg): 145.13 137.16 56.37
Sites, in units of the cell vectors:
Sr 0.0000 0.0000 0.0000
Zn 0.5000 0.5000 0.0000
Sn 0.3090 0.8090 0.5000
Sn 0.6910 0.1910 0.5000
Au 0.0943 0.3550 0.7393
Au 0.3844 0.6450 0.7393
Au 0.5000 0.0000 0.5000
Au 0.6156 0.3550 0.2607
Au 0.9057 0.6450 0.2607


Diffraction record for TbSnTe3Au. The powder diffractogram is simulated, not measured: it uses a GGA-PBE-relaxed structure and λ = 1.5418 Å (Cu Kα).